January 01, 2024 - the USPSTF address clinical preventive services for adults and children, and include screening tests, counseling
November 01, 2017 - and connecting documented
smokers to local quit lines and other telephone-based
smoking cessation counseling
January 01, 2012 - determined as documentation of any of the following: patient given advice to
quit smoking or tobacco use, counseling … by the SNAC
include the lack of a definitive evidence base to support the effectiveness of provider counseling … to quit smoking in adolescents, although such counseling in adults is evidence-based and
recommended … recommend to the Secretary of HHS:
HPV vaccination, medication management for asthma, and behavioral counseling … Counseling to Prevent Tobacco Use and Tobacco-Caused Disease. 2003;
March 01, 2019 - Weight assessment and counseling for nutrition and physical activity for children and adolescents: body
September 14, 2017 - CANDOR Acknowledgments
The Communication and Optimal Resolution (CANDOR) process was funded by AHRQ and is based on
/*
No. 1
DFT (ωB97M-V/def2-TZVPD) results for a cluster of 3 separate species, C33H43O10P in total.

XYZ file:
```
87
Properties=species:S:1:pos:R:3:forces:R:3:mulliken_charge:R:1
C -0.648 0.405 5.360 0.10 0.86 0.00 -0.56
C 0.965 0.347 5.001 0.28 -1.14 0.46 -0.54
P 1.414 2.026 4.195 -0.26 0.31 -0.45 0.03
C 3.156 2.530 4.810 0.80 -0.87 -0.51 -0.92
C 1.602 1.628 2.306 1.05 -1.59 -3.37 0.09
C 2.722 0.440 1.957 -2.14 1.78 -4.02 -0.37
C 2.935 0.016 0.387 -1.60 1.46 0.17 0.21
C 2.086 0.745 -0.856 -0.70 0.98 3.85 0.18
C 0.991 1.908 -0.447 1.69 -1.39 1.51 -0.67
C 0.694 2.385 1.123 3.18 -3.24 -0.87 0.66
C -0.417 3.507 1.566 -0.82 -0.16 0.50 -0.23
C -1.619 3.763 0.480 0.37 1.59 -6.91 0.42
O -1.467 4.136 -0.800 -0.71 -2.41 8.87 -0.54
O -3.029 3.623 0.950 2.11 -3.31 -0.01 -0.27
C -3.405 2.197 1.062 1.00 -4.43 -3.55 0.57
C -4.172 1.763 2.480 -0.06 0.43 -0.81 -0.74
O -3.129 1.277 0.102 -1.55 6.52 6.39 -0.51
C 2.358 0.235 -2.426 0.27 2.31 -3.33 0.13
O 2.381 1.048 -3.486 -0.42 -5.00 6.70 -0.53
C 2.648 -1.406 -2.566 2.17 0.00 4.19 -0.45
C 3.430 -2.054 -1.438 -1.83 1.29 -3.15 0.34
C 3.683 -3.698 -1.538 -1.47 1.37 1.58 -0.44
C 2.149 -4.362 -1.505 -0.66 -4.30 -3.69 -0.08
O 1.924 -5.379 -2.350 1.06 6.29 5.32 -0.45
C 0.930 -3.806 -0.549 -3.52 2.03 2.15 0.48
C -0.173 -2.745 -1.223 -0.87 -0.70 3.35 -0.10
C -1.452 -2.165 -0.364 1.75 -2.00 1.95 -0.37
C -1.743 -2.578 1.227 4.62 -2.09 -2.57 -0.36
C -0.615 -3.601 1.900 -0.45 1.52 -3.43 -0.37
C 0.674 -4.197 1.023 -1.70 1.97 -1.74 -0.33
C 3.982 -1.186 -0.120 3.71 -0.09 1.88 -0.09
O 5.183 -1.408 0.454 -7.79 1.10 -3.60 -0.56
H -0.808 0.818 6.464 0.41 -1.03 -2.37 0.26
H -1.201 -0.628 5.236 1.19 2.16 0.20 0.26
H -1.103 1.253 4.654 0.66 -2.10 1.43 0.00
H 1.245 -0.535 4.256 -0.76 1.75 1.67 0.27
H 1.598 0.208 6.001 -1.31 0.28 -2.22 0.36
H 3.938 1.746 4.385 -1.30 1.95 0.90 0.25
H 3.170 2.442 5.977 -0.11 0.43 -2.24 0.34
H 3.348 3.631 4.414 -0.22 -2.47 1.00 0.29
H 3.339 -0.090 2.814 -1.45 1.24 -2.08 0.32
H 0.403 2.402 -1.359 1.34 -1.10 2.40 0.23
H -0.946 3.149 2.573 1.28 0.73 -2.24 0.16
H 0.045 4.577 1.809 -0.84 -2.38 -0.76 0.37
H -3.509 0.946 3.023 -1.24 1.92 -1.20 0.15
H -5.210 1.259 2.229 2.25 1.09 0.29 0.33
H -4.365 2.723 3.134 0.59 -2.06 -1.31 0.25
H 2.236 -1.996 -3.491 1.08 1.32 1.92 0.49
H 4.176 -4.014 -0.517 -0.71 0.52 -2.17 0.31
H 4.299 -4.018 -2.481 -1.45 0.53 1.94 0.28
H -0.057 -2.375 -2.352 -0.26 -1.02 2.85 0.30
H -2.250 -1.405 -0.823 2.19 -1.87 0.83 0.23
H -2.670 -2.175 1.843 2.26 -0.94 -1.54 0.32
H -0.797 -3.870 3.043 0.76 0.38 -2.80 0.28
H 1.457 -4.936 1.529 -2.02 1.80 -1.09 0.26
C -3.220 6.960 0.695 0.01 -0.24 -0.02 -0.83
O -2.719 6.937 2.028 -0.05 0.40 -0.13 -0.17
C -2.250 8.220 2.452 -0.25 -0.38 0.46 -0.63
C -3.269 8.912 3.362 0.05 0.25 -0.61 -0.53
O -4.457 9.258 2.643 0.11 -0.46 0.22 -0.38
C -5.524 8.351 2.895 0.07 0.15 -0.06 -0.67
H -3.753 6.023 0.513 0.15 0.10 0.10 0.17
H -3.912 7.788 0.532 0.03 0.07 0.05 0.47
H -2.386 7.029 -0.010 -0.07 0.05 -0.10 0.31
H -2.000 8.850 1.590 -0.14 -0.03 0.07 0.38
*/
input from experts, key stakeholders, and lessons learned from the agency’s $25 million Patient Safety
and Medical Liability (PSML) Grant Initiative lau…
February 01, 2014 - Compare the effectiveness of an integrated approach (combining counseling, environmental mitigation,
August 23, 2018 - example, use of aspirin or
antithrombotics for those with ischemic vascular disease or smoking cessation counseling … who were screened about tobacco use one or more times within 24 months AND
who received cessation counseling
July 01, 2015 - To improve performance in other priority areas as well,
one SBHC provided nutrition counseling to parents
January 01, 2023 - medical equipment or devices for child
Easy to get special therapy for child
Easy to get treatment or counseling … medical equipment or devices for child
Easy to get special therapy for child
Easy to get treatment or counseling … 51% 46% 44% 44%
Easy to get special therapy for child 46% 45% 55% 47% 43%
Easy to get treatment or counseling … Examples of methods and strategies are:
telephone helpline, individual or group counseling, or cessation … In the last 6 months, how often was it easy to get this treatment or counseling for your
July 31, 2015 - groups (e.g., chronic diseases, age group)
Sexually transmitted and blood borne infections (STBI) counseling … Patient Recruitment
Health Risk Assessment/Testing
Clinician Counseling … Physicians
Patient Recruitment
Health Risk Assessment/Testing
Clinician Counseling … per
Patient Recruitment
Health Risk Assessment/Testing
Clinician Counseling … per patient
Patient Recruitment
Health Risk Assessment/Testing
Clinician Counseling
September 08, 2015 - • Weight assessment and counseling
for nutrition and physical activity
for children/adolescents: … Weight assessment and counseling
for nutrition and physical activity for
children/adolescents: Body
July 01, 2015 - staff indicated that the electronic
screener helped them identify adolescents who needed
additional counseling
April 03, 2017 - example, use of aspirin or antithrombotics for those with
ischemic vascular disease or smoking cessation counseling … who were screened about tobacco
use one or more times within 24 months AND who received cessation counseling
February 01, 2023 - Oncologist counseling practice and COVID-19 vaccination outcomes for patients with history of PEG-asparaginase
November 01, 2013 - Weight assessment and counseling for nutrition and physical activity for children/adolescents: Body mass … Weight assessment and counseling for nutrition and physical activity for children/adolescents: Body mass
March 01, 2021 - , and connecting documented smokers to local quit lines and other telephone-based smoking cessation counseling
March 03, 2021 - Check all that apply. 1, Cessation counseling | 2, VT quit line | 3, Local resource referral | 4, Reminded
August 23, 2018 - example, use of aspirin or
antithrombotics for those with ischemic vascular disease or smoking cessation counseling … who were screened about tobacco use one or more times within 24 months AND
who received cessation counseling
July 01, 2015 - To improve performance in other priority areas as well, one SBHC provided nutrition counseling to parents
July 01, 2015 - staff indicated that the electronic screener helped them identify adolescents who needed additional counseling